• Given:
/*
No. 1
# ZrTe2Pb

A geometry-optimized ZrTe2Pb structure (PBE, Alexandria via LeMat-Bulk).

Lattice parameters (Å, degrees): 3.7805 3.7805 7.8260 90.00 90.00 90.01
Fractional coordinates of all 4 atoms:
Pb1 0.5000 0.5000 0.7340
Te1 0.0000 0.0000 0.9606
Te2 0.5000 0.5000 0.3151
Zr1 0.0000 0.0000 0.4903

**Magnetic moment**: 0.0 μB per formula unit
**Calculated volume**: 28.0 Å³ per atom
**SG**: P4mm, No. 99
**E_form (uncorrected)**: -0.2869 eV/atom

No. 2
# Nd2Tm2S3

A geometry-optimized Nd2Tm2S3 structure (PBE, Alexandria via LeMat-Bulk).

Lattice parameters (Å, degrees): 3.9364 6.8772 6.7518 102.54 90.02 106.63
Fractional coordinates of all 7 atoms:
Nd1 0.6222 0.2443 0.8562
Nd2 0.3778 0.7557 0.1438
Tm1 0.8718 0.7432 0.6315
Tm2 0.1282 0.2568 0.3685
S1 0.0000 0.0000 0.0000
S2 0.7442 0.4884 0.2604
S3 0.2558 0.5116 0.7396

**Magnetic moment**: 0.0 μB per formula unit
**Calculated volume**: 24.4 Å³ per atom
**SG**: C2/m, No. 12
**E_form (uncorrected)**: -1.6858 eV/atom

No. 3
# YZr2Fe

A geometry-optimized YZr2Fe structure (PBE, Alexandria via LeMat-Bulk).

Lattice parameters (Å, degrees): 7.7672 7.7672 6.2489 51.57 51.57 90.00
Fractional coordinates of all 8 atoms:
Y1 0.0000 0.0000 0.0000
Y2 0.7500 0.2500 0.5000
Fe1 0.5000 0.5000 0.0000
Fe2 0.2500 0.7500 0.5000
Zr1 0.5520 0.1250 0.2500
Zr2 0.1980 0.6250 0.2500
Zr3 0.3750 0.4480 0.7500
Zr4 0.8750 0.8020 0.7500

**Magnetic moment**: 0.0 μB per formula unit
**Calculated volume**: 22.5 Å³ per atom
**Offset from the most stable computed form**: 217 meV per atom
**E_form**: 0.2039 eV/atom
**SG**: I-42d, No. 122

No. 4
# SrLaAu2

A geometry-optimized SrLaAu2 structure (PBE, Alexandria via LeMat-Bulk).

Lattice parameters (Å, degrees): 5.1658 5.1658 5.1658 60.00 60.00 60.00
Fractional coordinates of all 4 atoms:
Au1 0.0000 0.0000 0.0000
Au2 0.2500 0.2500 0.2500
La1 0.5000 0.5000 0.5000
Sr1 0.7500 0.7500 0.7500

**Magnetic moment**: 0.0 μB per formula unit
**Calculated volume**: 24.4 Å³ per atom
**E_form**: -0.4629 eV/atom
**SG**: F-43m, No. 216

No. 5
# Zn2CuHPt

A geometry-optimized Zn2CuHPt structure (PBE, Alexandria via LeMat-Bulk).

Lattice parameters (Å, degrees): 4.2040 4.2040 3.3343 90.00 90.00 90.00
Fractional coordinates of all 5 atoms:
H1 0.0000 0.0000 0.0000
Zn1 0.0000 0.5000 0.0000
Zn2 0.5000 0.0000 0.0000
Cu1 0.0000 0.0000 0.5000
Pt1 0.5000 0.5000 0.5000

**Magnetic moment**: 0.0 μB per formula unit
**Calculated volume**: 11.8 Å³ per atom
**Offset from the most stable computed form**: 0 meV per atom
**SG**: P4/mmm, No. 123

No. 6
# LiDyCdBi

A geometry-optimized LiDyCdBi structure (PBE, Alexandria via LeMat-Bulk).

Lattice parameters (Å, degrees): 5.2256 5.2256 5.2256 60.00 60.00 60.00
Fractional coordinates of all 4 atoms:
Cd1 0.5000 0.5000 0.5000
Li1 0.2500 0.2500 0.2500
Bi1 0.0000 0.0000 0.0000
Dy1 0.7500 0.7500 0.7500

**Magnetic moment**: 0.0 μB per formula unit
**Calculated volume**: 25.2 Å³ per atom
**E_form**: -0.3541 eV/atom
**SG**: F-43m, No. 216

No. 7
# K3Nd3SnO8

A geometry-optimized K3Nd3SnO8 structure (PBE, Alexandria via LeMat-Bulk).

Lattice parameters (Å, degrees): 7.1082 7.1086 7.5555 118.08 90.00 120.00
Fractional coordinates of all 15 atoms:
K1 0.0000 0.0000 0.0000
K2 0.0000 0.5000 0.0000
K3 0.5000 0.5000 0.0000
Nd1 0.5000 0.0000 0.5000
Nd2 0.5000 0.5000 0.5000
Nd3 0.0000 0.5000 0.5000
Sn1 0.0000 0.0000 0.5000
O1 0.2713 0.5425 0.3139
O2 0.7287 0.4575 0.6861
O3 0.7903 0.5806 0.3221
O4 0.2097 0.4194 0.6779
O5 0.7903 0.0316 0.3221
O6 0.2097 0.9684 0.6779
O7 0.2413 0.0316 0.3221
O8 0.7587 0.9684 0.6779

**Magnetic moment**: 0.0 μB per formula unit
**Calculated volume**: 18.5 Å³ per atom
**SG**: R-3m, No. 166
**E_form (uncorrected)**: -2.4135 eV/atom

No. 8
# NaLaSm

A geometry-optimized NaLaSm structure (PBE, Alexandria via LeMat-Bulk).

Lattice parameters (Å, degrees): 3.6484 3.6484 9.3972 90.00 90.00 120.00
Fractional coordinates of all 3 atoms:
Na1 0.0000 0.0000 0.0042
Sm1 0.6667 0.3333 0.3449
La1 0.3333 0.6667 0.6510
*/

• Job:
Next, set down the notes above from the line with "Bi1 0.0000" to the end verbatim.

• Result:
Bi1 0.0000 0.0000 0.0000
Dy1 0.7500 0.7500 0.7500

**Magnetic moment**: 0.0 μB per formula unit
**Calculated volume**: 25.2 Å³ per atom
**E_form**: -0.3541 eV/atom
**SG**: F-43m, No. 216

No. 7
# K3Nd3SnO8

A geometry-optimized K3Nd3SnO8 structure (PBE, Alexandria via LeMat-Bulk).

Lattice parameters (Å, degrees): 7.1082 7.1086 7.5555 118.08 90.00 120.00
Fractional coordinates of all 15 atoms:
K1 0.0000 0.0000 0.0000
K2 0.0000 0.5000 0.0000
K3 0.5000 0.5000 0.0000
Nd1 0.5000 0.0000 0.5000
Nd2 0.5000 0.5000 0.5000
Nd3 0.0000 0.5000 0.5000
Sn1 0.0000 0.0000 0.5000
O1 0.2713 0.5425 0.3139
O2 0.7287 0.4575 0.6861
O3 0.7903 0.5806 0.3221
O4 0.2097 0.4194 0.6779
O5 0.7903 0.0316 0.3221
O6 0.2097 0.9684 0.6779
O7 0.2413 0.0316 0.3221
O8 0.7587 0.9684 0.6779

**Magnetic moment**: 0.0 μB per formula unit
**Calculated volume**: 18.5 Å³ per atom
**SG**: R-3m, No. 166
**E_form (uncorrected)**: -2.4135 eV/atom

No. 8
# NaLaSm

A geometry-optimized NaLaSm structure (PBE, Alexandria via LeMat-Bulk).

Lattice parameters (Å, degrees): 3.6484 3.6484 9.3972 90.00 90.00 120.00
Fractional coordinates of all 3 atoms:
Na1 0.0000 0.0000 0.0042
Sm1 0.6667 0.3333 0.3449
La1 0.3333 0.6667 0.6510